Homeopathy • How & when do globules & Co. help?

Homeopathy is one of the alternative medical treatments. The aim of homeopathic medicines is to activate the body's self-healing powers – by transmitting stimuli through highly diluted active ingredients.

Next to the piece, the page also holds crystal structures.
=====
1.
Entry from the Alexandria database: a relaxed V3TcO crystal (PBE with a Hubbard U).

Structure (POSCAR):
```
V3TcO
1.0
4.752 0.000 0.000
0.000 4.752 0.000
0.000 0.000 4.752
V Tc O
3 1 1
direct
0.000 0.000 0.500 V
0.000 0.500 0.000 V
0.500 0.000 0.000 V
0.000 0.000 0.000 Tc
0.500 0.500 0.500 O
```

Output
Volume ... 21.46 A^3/atom
Calculated total energy ... -5.74 eV/atom
Space group ... Pm-3m (221)
Energy above the most stable polymorph in this dataset ... 1641 meV per atom


2.
Entry from the Alexandria database: a relaxed VTcO2 crystal (PBE with a Hubbard U).

Structure (POSCAR):
```
VTcO2
1.0
-2.094 2.094 5.492
2.094 -2.094 5.492
2.094 2.094 -5.492
V Tc O
2 2 4
direct
0.000 0.000 0.000 V
0.750 0.250 0.500 V
0.250 0.750 0.500 Tc
0.500 0.500 0.000 Tc
0.114 0.625 0.989 O
0.375 0.364 0.489 O
0.636 0.125 0.011 O
0.875 0.886 0.511 O
```

Output
Volume ... 12.04 A^3/atom
Calculated total energy ... -7.71 eV/atom
Space group ... I-42d (122)
Energy above the most stable polymorph in this dataset ... 381 meV per atom


3.
Entry from the Alexandria database: a relaxed V3TcO crystal (PBE with a Hubbard U).

Structure (POSCAR):
```
V3TcO
1.0
4.134 0.000 0.000
0.000 4.134 0.000
0.000 0.000 4.134
V Tc O
3 1 1
direct
0.000 0.000 0.500 V
0.000 0.500 0.000 V
0.500 0.000 0.000 V
0.500 0.500 0.500 Tc
0.000 0.000 0.000 O
```

Output
Volume ... 14.13 A^3/atom
Calculated total energy ... -7.39 eV/atom
Space group ... Pm-3m (221)
Energy above the most stable polymorph in this dataset ... 0 meV per atom


4.
Entry from the Alexandria database: a relaxed VTcO2 crystal (PBE with a Hubbard U).

Structure (POSCAR):
```
VTcO2
1.0
1.464 0.845 6.327
-1.464 0.845 6.327
0.000 -1.690 6.327
V Tc O
1 1 2
direct
0.000 0.000 0.000 V
0.500 0.500 0.500 Tc
0.391 0.391 0.391 O
0.609 0.609 0.609 O
```

Output
Volume ... 11.74 A^3/atom
Calculated total energy ... -8.09 eV/atom
Space group ... R-3m (166)
Energy above the most stable polymorph in this dataset ... 0 meV per atom


Among the records above, which one has the highest energy above the most stable polymorph in this dataset? number 1
=====

Homeopathic medicines aim to activate self-healing powers in the body through certain stimuli. The term homeopathy is derived from the Greek and means "to heal something similar with something similar". Homeopathic teaching assumes that exactly the remedy helps with certain symptoms that triggers the same or similar symptoms in a healthy person. Homeopaths refer to the method as the "principle of similarity" or "principle of similarity". A homoeopathic drug test must confirm that this is the case.

An example: In healthy people, coffee triggers restlessness and nervousness when consumed excessively. If you suffer from inner restlessness and nervous sleep disorders, you should take the homeopathically dosed agent "Coffea" (coffee) according to the principle of similarity to counteract the symptoms.

Homeopathy: 15 common complaints and which remedy helps!

When is homeopathy used?

Homeopathics can be used to treat a wide variety of ailments and diseases – be it prescribed by a homeopathically trained doctor or homeopath or in self-medication. Common areas of application include:

  • Weakness of defense, increased tendency to infections

  • Homeopathy for allergies

  • Inflammation such as conjunctivitis

  • Signs of cold like fever, cough and runny nose or sore throat

  • States of exhaustion, stress, panic attacks, excessive stress, fear

  • Gynecological infections (for example vaginal infections) or urinary tract infections

  • Skin diseases such as psoriasis and neurodermatitis

  • Headache migraine

  • Gastrointestinal problems, digestive problems, constipation

  • Menstrual cramps

  • Back pain and tension

  • sleep disorders

  • Sunburn, sunstroke or sun allergy

  • Potency problems and sexual reluctance

  • Sports injuries like bruises and sprains

  • Nausea and vomiting

  • Menopausal symptoms (hot flashes, palpitations, sleep disorders, irritability, vaginal dryness, joint pain)

Five homeopathic immediate helpers for acute complaints

Lifeline / Wochit

Application of homeopathy

At the beginning of the treatment, the homeopathically trained doctor or naturopath records the medical history. This initial medical history usually lasts one to two hours. The homeopath inquires about the complaints and related disorders, as well as general likes and dislikes. For example, he would like to know whether the symptoms improve through rest or movement, whether cold and warmth affect the current state of health or whether the patient feels a lot or little thirst.

The present symptoms are not only assessed according to objectively measurable criteria (such as type and appearance or laboratory values), but also the subjective perception of the complaints by the patient plays a major role. The therapist thereby records the patient's image, that is, the "individual symptoms" of the patient. This can result in people having the same clinical diagnosis but being treated with different homeopathic medicines.

Someone pasted records of crystals at this point.
~~~
Here is an optimized crystal structure of Ni3PtO from the Alexandria database. Energies are from GGA+U.

* DFT total energy: -0.1602 Ry per atom
* total magnetization: 3.68 Bohr magnetons per cell
* space-group type: No. 221

Cell: 4.7420 4.7420 4.7420 Å, 90.00 90.00 90.00°
Closest atoms and distances in Å follow each position.
Fractional positions:
Ni 0.0000 0.0000 0.5000  2 Pt 2.37
Ni 0.0000 0.5000 0.0000  2 Pt 2.37
Ni 0.5000 0.0000 0.0000  2 Pt 2.37
O 0.5000 0.5000 0.5000  12 Ni 3.35
Pt 0.0000 0.0000 0.0000  6 Ni 2.37
~~~

How do I find the right homeopathic medicine?

Every homeopathic remedy has a medicinal profile that summarizes all the symptoms against which the active ingredient can help. The more the drug profile matches the patient's complaints, the better it is suitable for their treatment. The choice of the right medicine is therefore not only based on a symptom, but also on all side effects, which is why a visit to a homeopathically trained doctor or naturopath is advisable. The doctor can not only recommend the right medication, but also determine its dosage and duration of use.

Homeopathic remedies consist of animal, vegetable or mineral active ingredients, which are available as tablets, drops or small sugar globules. Since many of these ingredients are harmful in high concentrations, the so-called mother tincture is diluted (or rather potentiated) until it has a healing effect from a homeopathic point of view.

The following applies: the more diluted the more effective! This contradicts the conventional medical principle of the linear dose-effect relationship, according to which a substance has a stronger effect the higher its concentration. Sometimes mother tinctures themselves are used as homeopathic medicines. Complex agents also often have a significantly higher concentration of the respective active substances.

Potencies and dosage in homeopathy

In addition to the principle of similarity, potentiation is an important basis of homeopathy. It determines the duration and strength of the effects of homeopathic remedies. The mother tincture is diluted in a certain ratio during the manufacture of a drug. The potentiation is not a mere dilution, but follows a specific process defined in the homeopathic pharmacopoeia.

Homeopathy: common mistakes and misunderstandings

Homeopathy: common mistakes and misunderstandings

In the course of potentiation, the active ingredients of natural origin such as deadly cherry (Atropa belladonna), tiger lily (Lilium tigrinum), Arnica, Nux vomica (haunted walnut), aconite, sepia and okoubaka are shaken with water or alcohol or triturated with milk sugar.

The potentiation takes place in a dilution ratio of 1:10 (D powers or decimal powers) or 1: 100 (C powers or centesimal powers). The more often a substance is shaken, the higher the potency. The dilution procedure was carried out six times for D6 and C6, and thirty times for D30 and C30.

Read here how the potentiation works.

(Here the text breaks off for crystal structures)
Entry 1:
Computed, not measured: W7Se6 after structural relaxation at the PBE level of DFT.

The structure in extended XYZ format:
```
13
Lattice="-5.552 10.145 -2.304 -5.863 7.518 -6.939 -9.364 6.486 -3.047" Properties=species:S:1:pos:R:3 pbc="T T T"
Se -1.511 1.756 -0.893
Se -19.268 22.393 -11.396
Se -3.678 4.275 -2.176
Se -17.100 19.873 -10.113
Se -7.630 8.868 -4.513
Se -13.148 15.281 -7.776
W -9.433 10.616 -3.872
W -7.711 11.124 -5.786
W -9.586 9.325 -6.151
W -11.346 13.532 -8.417
W -11.192 14.824 -6.138
W -13.068 13.024 -6.503
W -10.389 12.074 -6.145
```

Results
E_tot   -8.18 eV/atom
Uncorrected formation energy   0.40 eV per atom
Density   10.4 g cm⁻³
D(E_F)   10.3 states/eV per cell

***

Entry 2:
Computed, not measured: CePr2Tl3 after structural relaxation at the PBE level of DFT.

The structure in extended XYZ format:
```
6
Lattice="-2.904 2.074 0.688 -1.834 -2.935 1.109 4.418 2.005 12.612" Properties=species:S:1:pos:R:3 pbc="T T T"
Ce -0.160 0.572 7.204
Pr 1.313 1.241 11.411
Pr -1.634 -0.097 2.997
Tl 0.000 0.000 0.000
Tl 2.935 1.332 8.380
Tl 1.482 0.673 4.232
```

Results
E_tot   -4.10 eV/atom
DFT formation energy   -2.02 eV/f.u.
Density   9.6 g cm⁻³
D(E_F)   10.6 states/eV per cell

***

Entry 3:
Computed, not measured: Rb4NaMn3Br12 after structural relaxation at the PBE level of DFT.

The structure in extended XYZ format:
```
20
Lattice="9.403 0.000 0.000 -3.134 8.866 0.000 -3.134 -4.433 7.678" Properties=species:S:1:pos:R:3 pbc="T T T"
Rb 1.567 2.216 3.839
Rb -1.567 -2.216 3.839
Rb 4.702 0.000 0.000
Rb -1.567 4.433 0.000
Na 0.000 0.000 0.000
Mn 3.134 -2.216 3.839
Mn 3.134 4.433 0.000
Mn -3.134 2.216 3.839
Br -1.567 1.108 5.758
Br 4.595 -3.249 5.627
Br 1.674 -1.184 2.051
Br 4.702 3.325 1.919
Br 4.595 6.498 0.000
Br 1.674 2.368 0.000
Br 4.702 0.000 3.839
Br -1.567 4.433 3.839
Br 1.567 -1.108 5.758
Br -4.595 3.249 5.627
Br 1.567 5.541 1.919
Br -1.674 1.184 2.051
```

Results
E_tot   -3.86 eV/atom
Uncorrected formation energy   -1.22 eV per atom
Density   3.9 g cm⁻³
D(E_F)   5.8 states/eV per cell

First worsening and healing process of homeopathic medicines

In the understanding of homeopathy, the course of healing is subject to various laws. The body strives to keep pathogenic stimuli as far away as possible from the center of the body and from the vital organs (heart, brain). Skin symptoms during the treatment are rated as outward-moving symptoms and classified as positive. After the start of treatment, so-called initial aggravation can occur, which is manifested by a temporary worsening of the symptoms. As a rule, it subsides after a few days.

Side effects and interactions with other drugs are not known for homeopathic medicines. Therefore, the preparations are also suitable for self-treatment, during pregnancy and for children and adolescents. Whether the application is suitable in individual cases should be discussed with the doctor or alternative practitioner.

Basically, certain complaints and clinical pictures as well as acute or life-threatening situations require conventional medical treatment. In these cases, homeopathic therapy alone is not advisable. However, homeopathic drugs can then be used as a support.

Proven effectiveness and studies on homeopathy

Scientific studies prove the effectiveness of homeopathy. Previous scientific studies (controlled clinical studies) mainly examined the question of whether homeopathy has a therapeutic effect beyond the so-called placebo effect.

The results of this are not uniform. Nevertheless, homeopathy is often used because its tolerance is very good and many patients report positive results. Therefore homeopathy is anchored in the medical training regulations and protected with an additional title.

Homeopathic medicines: Many health insurance companies cover costs

Homeopathic medicines are available in low doses from the pharmacy without a prescription. On the other hand, high potencies are prescription-only.

Homeopathy is not included in the benefits catalog of statutory health insurance (SHI), so health insurers do not have to pay for this type of therapy. However, health insurance companies have the option of including homeopathy in their statutory benefits – a possibility that many large health insurance companies make use of. In some cases, you will bear the costs for a one-hour first medical history, for homeopathic medicines or other homeopathic services. The exact range of services can be requested from your own health insurance company.

History: small history of homeopathy

The founder of homeopathy is the German doctor Samuel Hahnemann (1755-1843), who developed the method at the end of the 18th century. Hahnemann was a great critic of the healing methods of his time. He distanced himself so much from the views of conventional medicine at the time that he was forced to give up his practice as a medical doctor and to finance his living with translation work. He came across the work of the Scottish pharmacologist William Cullens, who described the effects of Chinese bark on the human organism and attested that it had a healing effect on menopause (malaria).

Hahnemann did not want to believe Cullen's theory and so he attempted self-testing with Chinese bark. In these experiments, Hahnemann noticed that the Chinese bark caused false malaria in him. Conversely, he concluded that the Chinese bark should help against a real malaria disease. Hahnemann thus laid the foundation for homeopathy.

Following this discovery, he carried out numerous experiments in which he examined medicines and their toxic effects, which at the same time, in homeopathic dosage, make up their healing properties. With the formulation of the principle of similarity, 1796 is designated as the year of birth of homeopathy. Hahnemann laid down the laws of homeopathy in the "Organon of rational medicine" published in 1810.

The 9 most popular areas of application for homeopathic remedies

The 9 most popular areas of application for homeopathic remedies